Tristan Islander Hazel and husband Barry Carter start work

Website Team Update

New committee members join team

Webmaster Peter Millington and Editor Richard Grundy are delighted to welcome Hazel (nee Swain) and Barry Carter to the Tristan Government and Tristan Association website team.

Hazel and Barry were elected to the Tristan da Cunha Association Committee at the 2019 AGM in April. At the September Tristan Association committee meeting Peter demonstrated the website organisation to Hazel and Barry, after which they have begun to create and edit pages, starting with Tristan family news. It is wonderful to have an islander working on the website and also younger team members!

Hazel has lived in England since 1998. Here she met Barry and they made two trips to Tristan before returning for their marriage in St Mary's Church on Saturday 25th February 2006, a special occasion to be able to share with family, friends and the whole community of Tristan Da Cunha. The couple now live in Bournemouth

Hazel and Barry Carter

Webmaster Peter Millington is preparing to travel to Tristan da Cunha for a Christmas and New Year visit. This will give him an opportunity to show resident islanders how the website works and it is hoped that will lead to them creating and editing pages on their own website in the future.

Webmaster Peter Millington

== Attached: quantum chemistry results ==
-- begin --
1.
The following is a DFT calculation (ωB97M-V with the def2-TZVPD basis set) of a 2-piece molecular cluster, C6H14N2 overall.

Cartesian coordinates (Å):
1 C 1.464 2.268 -0.195
2 C 1.322 2.338 1.323
3 C -0.058 1.104 -1.527
4 N 0.858 1.063 -0.676
5 H 1.032 3.170 -0.661
6 H 2.527 2.215 -0.453
7 H -0.443 2.032 -1.969
8 H -0.502 0.175 -1.853
9 H 1.752 1.449 1.776
10 H 0.272 2.392 1.599
11 H 1.834 3.216 1.708
12 C -0.175 -1.543 1.234
13 N -0.875 -2.224 -1.576
14 C -1.814 -2.165 -0.550
15 C -1.552 -1.820 0.708
16 H 0.078 -2.244 -1.244
17 H -1.058 -2.928 -2.275
18 H -2.829 -2.353 -0.873
19 H -2.374 -1.722 1.398
20 H 0.495 -2.382 1.035
21 H 0.252 -0.658 0.761
22 H -0.205 -1.384 2.309

Summary:
Gap between HOMO and LUMO ... 0.33498 hartree
Charge ... 0
ΔE to the lowest compared entry with this formula, charge and spin ... 34.0 kcal/mol
E ... -9428.009 eV
LUMO level ... 0.0429 Ha

2.
The following is a DFT calculation (ωB97M-V with the def2-TZVPD basis set) of one molecule with the formula C6H14N2 in a non-equilibrium geometry.

Cartesian coordinates (Å):
1 C -0.246 -0.931 0.240
2 C -0.308 -1.757 -0.997
3 C -1.177 -1.299 1.345
4 C -0.614 2.089 -1.173
5 N -0.501 1.198 -0.033
6 C 0.766 0.117 0.344
7 N 1.714 0.143 -0.743
8 C 1.361 0.215 1.631
9 H -0.844 1.575 0.845
10 H 2.513 0.710 -0.495
11 H 1.325 0.500 -1.606
12 H 0.677 -2.194 -1.183
13 H -0.531 -1.134 -1.870
14 H -1.061 -2.542 -0.934
15 H -0.981 -2.329 1.668
16 H -1.112 -0.642 2.207
17 H -2.205 -1.285 0.972
18 H 0.266 2.738 -1.289
19 H -0.721 1.509 -2.097
20 H -1.498 2.731 -1.103
21 H 0.830 -0.056 2.527
22 H 2.346 0.647 1.744

Summary:
Gap between HOMO and LUMO (alpha / beta) ... 0.22525 / 0.29158 hartree
Charge ... 0
ΔE to the lowest compared entry with this formula, charge and spin ... 107.4 kcal/mol
E ... -9424.828 eV
LUMO level (alpha / beta) ... 0.0010 / 0.0300 Ha

3.
The following is a DFT calculation (ωB97M-V with the def2-TZVPD basis set) of an isolated ion of composition C6H14N2 and charge +1 in a non-equilibrium geometry.

Cartesian coordinates (Å):
1 C 0.118 1.893 0.687
2 C 0.667 0.666 1.279
3 C 0.732 -0.562 0.361
4 C -0.472 -0.827 -0.414
5 C -1.598 -1.074 0.235
6 C -1.584 -1.017 -2.634
7 N -0.480 -0.998 -1.896
8 N 2.071 1.209 1.822
9 H 0.972 2.370 -0.089
10 H -0.760 1.715 0.027
11 H -0.327 2.680 1.403
12 H 0.000 0.505 2.311
13 H 1.599 -0.474 -0.290
14 H 0.961 -1.371 1.147
15 H -1.779 -0.897 1.226
16 H -2.645 -1.150 0.004
17 H -1.434 -1.360 -3.641
18 H -2.583 -0.908 -2.271
19 H 0.425 -1.176 -2.175
20 H 2.712 1.818 1.205
21 H 2.639 0.461 1.930
22 H 1.903 1.836 2.661

Summary:
Gap between HOMO and LUMO (alpha / beta) ... 0.19841 / 0.32281 hartree
Charge ... +1
ΔE to the lowest compared entry with this formula, charge and spin ... 70.2 kcal/mol
Multiplicity ... 2
E ... -9418.061 eV
LUMO level (alpha / beta) ... -0.1358 / -0.1359 Ha

4.
The following is a DFT calculation (ωB97M-V with the def2-TZVPD basis set) of a 2-piece molecular cluster, C6H14N2 overall in a non-equilibrium geometry.
-- stop --
== End of the quantum chemistry results ==

Peter's interest in Tristan da Cunha began through his passion for folk traditions, especially those of Old Year's Night, and the island's social dances, which he tries to teach Association members at the Annual Gatherings. Therefore, Peter's second Tristan visit in 2019/20 following his first trip on the 2011 Island Sky trip, is very special as he will be able to see the mysterious Okalolies on Old Year's Night for himself after his 2011 newsletter article on the subject.

Peter started website work in May 2011 when he took over running the Post Office section, after which he extended work to Tourism, Souvenir and Handicraft sales, and later to wider community pages. Peter was elected to the Tristan da Cunha Association Committee in 2014 and became Webmaster soon afterwards, leading the re-vamp of the website to its present structure which was completed in 2016.

Co-Chair and Editor Richard Grundy

Richard was a teacher on Tristan 1982-1985, teaching Hazel, her brother and sisters. He joined the Tristan Association committee in 2004 as Newsletter Editor. Richard started in consultation with the Tristan Island Council, who, in October 2004, agreed to launch a joint Tristan Government and Association Wesbite. Richard presently concentrates on Tristan Government, Conservation, Fishing and Shipping website sections alongside his newsletter work.

Website Facts

The site went live in March 2005 and has since grown from 56 pages at the end of 2005 to 1393 pages at the end of October 2019. During that time there have been 4.4 million visits to the site, opening over 23 million pages. In 2019 the site has over 1,000 visits and over 4,500 pages viewed per day.

It is the official Tristan da Cunha Government website and is run entirely by volunteers. The Tristan da Cunha Association pays for website costs, including hosting, domain registration and SSL Certifification to enable secure pages for purchase of Tristan stamps, souvenirs and handicrafts.